## Entries
# 1
Below is a relaxed structure of LiGa2Co2, with properties calculated at the PBEsol level.

Results
Energy of formation from the pure elements in eV per atom: -0.254
Space-group type: P4/mbm
DFT total energy in eV per atom: -5.078
ρ in g/cm3: 7.01

a = 2.6812 Å, b = 6.8310 Å, c = 6.8310 Å
α = 90.00°, β = 90.00°, γ = 90.00°
Element x y z (fractional)
Ga 0.0000 0.6496 0.1496
Ga 0.0000 0.3504 0.8504
Ga 0.0000 0.8504 0.6496
Ga 0.0000 0.1496 0.3504
Co 0.5000 0.1467 0.6467
Co 0.5000 0.8533 0.3533
Co 0.5000 0.6467 0.8533
Co 0.5000 0.3533 0.1467
Li 0.0000 0.5000 0.5000
Li 0.0000 0.0000 0.0000


# 2
Below is a relaxed structure of Lu3Ga5Co, with properties calculated at the PBEsol level.

Results
Energy of formation from the pure elements in eV per atom: -0.672
Space-group type: P-62m
DFT total energy in eV per atom: -5.012
ρ in g/cm3: 9.79

a = 4.0825 Å, b = 6.6890 Å, c = 6.6890 Å
α = 120.00°, β = 90.00°, γ = 90.00°
Element x y z (fractional)
Ga 0.5000 0.6667 0.3333
Ga 0.5000 0.7669 0.7669
Ga 0.5000 0.0000 0.2331
Ga 0.5000 0.2331 0.0000
Ga 0.5000 0.3333 0.6667
Co 0.0000 0.0000 0.0000
Lu 0.0000 0.5965 0.0000
Lu 0.0000 0.0000 0.5965
Lu 0.0000 0.4035 0.4035


# 3
Below is a relaxed structure of Lu2Ga3Co, with properties calculated at the PBEsol level.

Results
Energy of formation from the pure elements in eV per atom: -0.591
Space-group type: P6_3/mmc
DFT total energy in eV per atom: -5.175
ρ in g/cm3: 10.27

a = 5.3039 Å, b = 5.3039 Å, c = 8.2055 Å
α = 90.00°, β = 90.00°, γ = 120.00°
Element x y z (fractional)
Co 0.0000 0.0000 0.0000
Co 0.0000 0.0000 0.5000
Lu 0.3333 0.6667 0.0531
Lu 0.3333 0.6667 0.4469
Lu 0.6667 0.3333 0.5531
Lu 0.6667 0.3333 0.9469
Ga 0.3273 0.1636 0.2500
Ga 0.1636 0.8364 0.7500
Ga 0.6727 0.8364 0.7500
Ga 0.1636 0.3273 0.7500
Ga 0.8364 0.1636 0.2500
Ga 0.8364 0.6727 0.2500


# 4
Below is a relaxed structure of Lu2Ga9Co3, with properties calculated at the PBEsol level.

Results
Energy of formation from the pure elements in eV per atom: -0.535
Space-group type: Cmcm
DFT total energy in eV per atom: -5.035
ρ in g/cm3: 9.28

a = 7.1998 Å, b = 7.1998 Å, c = 9.1814 Å
α = 90.00°, β = 90.00°, γ = 119.77°
Element x y z (fractional)
Ga 0.3326 0.3326 0.5604
Ga 0.6634 0.4474 0.7500
Ga 0.6674 0.6674 0.0604
Ga 0.6674 0.6674 0.4396
Ga 0.3326 0.3326 0.9396
Ga 0.6657 0.0009 0.5732
Ga 0.5526 0.3366 0.2500
Ga 0.0009 0.6657 0.5732
Ga 0.6657 0.0009 0.9268
Ga 0.1193 0.1193 0.2500
Ga 0.9991 0.3343 0.0732
Ga 0.3343 0.9991 0.4268
Ga 0.4474 0.6634 0.7500
Ga 0.9991 0.3343 0.4268
Ga 0.3343 0.9991 0.0732
Ga 0.3366 0.5526 0.2500
Ga 0.8807 0.8807 0.7500
Ga 0.0009 0.6657 0.9268
Co 0.0000 0.0000 0.0000
Co 0.6712 0.3288 0.0000
Co 0.0000 0.0000 0.5000
Co 0.3288 0.6712 0.0000
Co 0.6712 0.3288 0.5000
Co 0.3288 0.6712 0.5000
Lu 0.3313 0.0028 0.7500
Lu 0.0028 0.3313 0.7500
Lu 0.9972 0.6687 0.2500
Lu 0.6687 0.9972 0.2500


# 5
Below is a relaxed structure of Mg3Ga7Co2, with properties calculated at the PBEsol level.

Results
Energy of formation from the pure elements in eV per atom: -0.278
Space-group type: C2/c
DFT total energy in eV per atom: -3.945
ρ in g/cm3: 5.83

a = 6.4693 Å, b = 6.4693 Å, c = 9.2615 Å
α = 92.51°, β = 92.51°, γ = 92.30°
Element x y z (fractional)
Ga 0.8089 0.9446 0.0265
Ga 0.8894 0.5541 0.1020
Ga 0.5666 0.3061 0.9820
Ga 0.7719 0.2281 0.2500
Ga 0.4459 0.1106 0.3980
Ga 0.1911 0.0554 0.9735
Ga 0.5541 0.8894 0.6020
Ga 0.9446 0.8089 0.5265
Ga 0.0554 0.1911 0.4735
Ga 0.3061 0.5666 0.4820
Ga 0.2281 0.7719 0.7500
Ga 0.6939 0.4334 0.5180
Ga 0.1106 0.4459 0.8980
Ga 0.4334 0.6939 0.0180
Mg 0.6374 0.7440 0.3032
Mg 0.1463 0.8537 0.2500
Mg 0.8537 0.1463 0.7500
Mg 0.3626 0.2560 0.6968
Mg 0.7440 0.6374 0.8032
Mg 0.2560 0.3626 0.1968
Co 0.4842 0.0313 0.1444
Co 0.5158 0.9687 0.8556
Co 0.9687 0.5158 0.3556
Co 0.0313 0.4842 0.6444


# 6
Below is a relaxed structure of MgGaCo3, with properties calculated at the PBEsol level.

Results
Energy of formation from the pure elements in eV per atom: 1.464
Space-group type: Pm-3m

## Brief
Count the lines earlier on that contain the word "is" and give the number alone.

## Result
6